Session Management in Undetectable

### Attached: records of molecules
=====
Density functional theory data (ωB97M-V with the def2-TZVPD basis set) for a cluster of 10 separate species, C3H26N2O10 in total.

Each line ends with the Mulliken charge.
Element x y z (Å)
C -1.337 -1.220 2.077  -1.3237
C 0.027 -0.688 1.742  0.7513
O 0.952 -0.799 2.538  -0.6490
N 0.218 -0.101 0.526  1.2691
C 1.525 0.313 0.022  -1.4234
N 1.776 -0.346 -1.270  -0.4145
H -1.603 -2.187 1.645  0.2353
H -1.287 -1.394 3.150  0.3922
H -2.129 -0.547 1.737  0.2606
H -0.630 0.031 -0.029  -0.4490
H 1.560 1.394 -0.101  0.4768
H 2.314 0.027 0.707  0.5992
H 1.470 0.195 -2.062  0.2733
H 1.402 -1.281 -1.247  0.2840
O 0.444 1.534 -4.081  -0.6360
H 1.087 0.861 -4.325  0.2919
H 0.936 2.357 -4.009  0.3221
O -0.419 2.766 -1.490  -0.5950
H -0.157 1.844 -1.549  0.2264
H -0.967 2.991 -2.248  0.2948
O 2.237 -2.795 0.832  -0.7044
H 1.908 -1.894 0.775  0.3404
H 2.755 -2.968 1.617  0.2956
O -0.166 -3.656 0.202  -0.6457
H 0.579 -3.669 -0.416  0.2681
H 0.392 -3.491 0.986  0.3877
O -2.191 -0.213 -1.210  -0.6109
H -2.284 -1.166 -1.127  0.2278
H -2.020 -0.035 -2.141  0.2413
O 2.127 2.104 2.287  -0.6356
H 1.511 2.853 2.251  0.3310
H 1.598 1.541 2.874  0.2988
O -0.976 -2.217 -2.740  -0.5760
H -0.577 -1.867 -3.541  0.2896
H -0.361 -2.896 -2.442  0.2757
O -0.430 3.041 1.680  -0.5929
H -0.355 3.173 0.723  0.2991
H -0.997 3.777 1.937  0.2699
O -3.239 1.680 0.583  -0.5884
H -3.081 2.527 0.144  0.2845
H -2.696 1.144 -0.026  0.3579

Values from the calculation:
**Kohn-Sham gap**: 8.82 eV
**LUMO**: -0.31 eV
**Electronic energy**: -991.81685 Ha
**HOMO level**: -9.12 eV
**Energy relative to the best compared isomer or geometry (same formula, charge and spin)**: 2.771 eV
**SMILES string**: CC(=O)NCN.O.O.O.O.O.O.O.O.O
**Strongest force on any atom**: 0.0252 Eh/bohr

Density functional theory data (ωB97M-V with the def2-TZVPD basis set) for a cluster of 11 separate species, C3H26NO12 in total.

Each line ends with the Mulliken charge.
Element x y z (Å)
C 0.454 -0.179 -1.616  1.1776
C -1.031 0.213 -1.569  -0.6823
C -1.283 0.803 -0.201  0.6539
O -0.765 1.906 0.058  -0.9379
O -1.993 0.158 0.599  -0.8087
N 1.066 -0.118 -2.970  -0.7856
H 1.043 0.511 -1.021  -0.5560
H 0.596 -1.175 -1.239  -0.2248
H -1.254 0.923 -2.366  0.4100
H -1.701 -0.662 -1.782  0.2746
H 0.685 0.629 -3.542  0.2279
H 0.909 -0.988 -3.490  0.2656
H 0.752 4.053 -1.388  0.3091
H 0.234 2.702 -1.068  0.5223
O 0.740 3.176 -1.733  -0.7025
H -4.688 0.702 -0.376  0.2889
H -3.541 -0.234 -0.205  0.3018
O -4.339 -0.098 -0.697  -0.6786
H 0.082 1.289 2.809  0.3515
H 0.175 1.894 1.457  0.4177
O 0.750 1.612 2.244  -0.8671
H 2.895 1.033 0.070  0.4034
H 2.099 0.939 1.352  0.4347
O 2.778 0.508 0.909  -0.7979
H 1.311 -2.007 2.003  0.4295
H 0.615 -0.803 2.445  0.3704
O 0.458 -1.763 2.458  -0.7907
H 2.051 -2.406 -0.006  0.3343
H 2.738 -1.140 0.774  0.4944
O 2.518 -2.151 0.779  -0.8465
H -0.932 -3.548 -2.020  0.2848
H -0.621 -3.012 -0.640  0.4102
O -0.179 -3.323 -1.453  -0.6435
H -0.765 -2.330 1.368  0.5667
H -1.797 -1.551 0.652  0.3238
=====
### Back to the piece

A session in Undetectable Browser refers to a launched and authorized program on any device. In this short guide, we will explore the features of session management.
General Definition of Sessions
A session is a connection between a client device and the main server that allows interaction. A session refers to the period of time during which the interaction takes place or to the complex that provides such an opportunity.
The server uses sessions to track the status of operations. Sessions are created as needed. For example, when a user opens a document in the browser, the server creates a session and loads the latest version of that document.
In one session, you can open one document, and different people can simultaneously open the same document in multiple sessions. Additionally, a user can open multiple sessions for the same document or for different documents.
A session ends when the user finishes it. However, if the user does not end the session, the server may terminate it automatically if there is no user activity for a certain period of time. This forced termination is called a timeout.
To prevent this termination, it is necessary to interact with the open document. For example, perform navigation, editing, sorting, or filtering. This will confirm to the server that the session is active and does not need to be terminated.
Purpose of the "Sessions" Section in Undetectable
In the "Sessions" section, you can track the activity of a user with the role of a regular user, such as one of your colleagues. Additionally, in this section, you can forcibly close sessions.

Forced closure is necessary in case the program is closed incorrectly. This leaves the session active and prevents the user from logging back into the system due to the resulting restriction. In such cases, an administrator or manager with appropriate permissions needs to forcibly close the session.
There are two ways to close a session. The first method is as follows:
- Click on the action button in the row of the desired session.
- Click on the "Delete" button.

The second method is as follows:
- Check the checkboxes for the sessions that need to be disconnected.
- Click on the appeared "Delete" button.

• Next to the page, the page also holds molecular data:
Formula: C29H34BCl2N8NaS2
Source: OMol25
Level of theory: ωB97M-V/def2-TZVPD

Positions of all 77 atoms, in Å:
Na 0.361 1.401 0.587
B -0.836 4.208 2.536
N 0.685 3.902 2.655
C 1.608 4.608 3.327
C 2.857 4.085 3.032
C 2.578 3.034 2.148
N 1.270 2.941 1.933
N -1.680 2.933 2.785
C -2.369 2.638 3.903
C -3.142 1.520 3.660
C -2.843 1.196 2.330
N -1.970 2.050 1.813
H -1.114 5.019 3.396
H -1.061 4.611 1.422
H 1.332 5.431 3.965
H 3.815 4.410 3.402
H 3.257 2.349 1.662
H -2.271 3.232 4.797
H -3.804 1.006 4.336
H -3.231 0.375 1.744
C 3.146 -1.025 0.760
N 2.357 -0.084 -0.014
C 2.786 0.232 -1.176
C 2.229 1.268 -1.991
C 2.759 1.727 -3.213
C 2.024 2.865 -3.549
C 1.095 3.031 -2.507
N 1.197 2.069 -1.583
C 3.028 -2.475 0.348
C 1.889 -2.957 -0.287
C 1.757 -4.306 -0.580
C 2.776 -5.194 -0.267
C 3.932 -4.718 0.336
C 4.050 -3.372 0.648
H 2.805 -0.952 1.797
H 4.211 -0.748 0.740
H 3.679 -0.262 -1.596
H 3.581 1.285 -3.760
H 2.161 3.503 -4.411
H 0.362 3.823 -2.395
H 1.099 -2.264 -0.542
H 0.844 -4.665 -1.041
H 2.669 -6.251 -0.483
H 4.746 -5.398 0.566
H 4.945 -3.012 1.144
Cl -1.019 -0.855 0.221
C -1.078 -2.310 1.170
C -1.723 -3.398 0.619
C -1.798 -4.599 1.309
C -1.207 -4.684 2.563
C -0.563 -3.588 3.101
Cl 0.154 -3.789 4.671
C -0.449 -2.327 2.444
S 0.353 -0.990 3.120
H -2.165 -3.310 -0.367
H -2.305 -5.452 0.878
H -1.235 -5.610 3.123
C -0.996 0.350 -4.869
C -0.955 0.666 -3.376
N -1.713 1.878 -3.095
C -2.562 2.070 -2.063
S -2.957 3.595 -1.523
N -3.086 0.964 -1.450
C -3.746 -0.122 -2.158
C -3.373 -1.486 -1.587
H -0.470 -0.582 -5.083
H -0.508 1.150 -5.428
H -2.029 0.265 -5.213
H 0.082 0.813 -3.062
H -1.353 -0.156 -2.786
H -1.231 2.729 -3.344
H -3.501 1.213 -0.565
H -3.480 -0.056 -3.214
H -4.832 0.014 -2.094
H -2.303 -1.665 -1.693
H -3.918 -2.283 -2.099
H -3.604 -1.516 -0.522

Its energy above the lowest of the compared OMol25 structures with the same formula, charge and spin is 0.83 kJ/mol. As for the net charge: -2. The calculation puts the HOMO-LUMO gap at 5.485 eV.

Need the Mulliken charges? In units of e they are: 1.031, 0.197, -0.214, -0.204, -1.140, -0.269, -0.011, 0.211, -0.339, -1.128, 0.068, -0.140, -0.244, -0.198, 0.383, 0.352, 0.401, 0.397, 0.370, 0.246, -1.818, 0.669, -0.299, 0.022, -0.999, -0.620, -1.159, 0.217, 0.932, 0.121, -0.501, -0.533, -0.451, -0.671, 0.270, 0.414, 0.237, 0.456, 0.416, 0.701, 0.233, 0.338, 0.352, 0.355, 0.348, 0.376, -0.054, -0.404, -0.825, -0.641, 0.321, -0.268, -0.104, -0.263, 0.345, 0.362, 0.378, -1.796, 2.435, -0.133, -0.048, -0.392, 0.095, -0.815, -0.612, 0.336, 0.374, 0.386, -1.031, -0.822, 0.405, 0.182, 0.273, 0.423, -0.004, 0.410, 0.315

* * * * *

# 1

How to Resolve the "Limit Reached" Error
You can also resolve this error using the "Sessions" section.
For example, a user logs into Undetectable, authorizes, and sees a message stating that the limit has been reached. This error is caused by the fact that the user has reached the limit of active sessions. It is likely that the program was closed incorrectly during the last usage, leaving the session active. To close these sessions, follow these steps:
- Go to the cloud panel at, open the page, and log in.
- Go to the "Sessions" tab.
- Select the session(s) that need to be closed or select all sessions.
- Choose the delete function in the "Actions" column. If more than one session is selected, a disconnect button will appear. Disconnecting a session will not result in any data loss in local and closed cloud profiles.
Sessions are necessary for the server to track requests from the browser and its operational status. If a user does not perform any actions, the session will be terminated. Sometimes a session may be terminated incorrectly, resulting in an error - the limit of available sessions has been reached. In this case, you can resolve the issue using the "Sessions" section in the Undetectable cloud panel.